
How bad is ibuprofen for your liver

Common Questions and Answers about How bad is ibuprofen for your liver


Unrelated to this piece: materials data
********
# 1
The following is a theoretical powder diffraction line list of Tb12Dy7Tl. It was derived from DFT lattice parameters and positions (PBE), using Cu Kα (weighted mean of Kα1 and Kα2).
Kinematic intensities with the Lorentz-polarization factor, no thermal factor.

Peak list (12 most intense, 10° ≤ 2θ ≤ 90°, by angle)
d (Å), Position (°2θ), I (rel.)
2.978, 30.01, 34
2.877, 31.09, 46
2.830, 31.62, 100
2.760, 32.43, 55
2.699, 33.20, 64
2.667, 33.61, 26
2.378, 37.83, 15
1.741, 52.56, 20
1.705, 53.77, 19
1.666, 55.13, 14
1.661, 55.31, 21
1.582, 58.33, 15

Cell and atoms:
```
data_Tb12Dy7Tl
_chemical_formula_sum 'Tb12 Dy7 Tl1'
_cell_length_a 8.642
_cell_length_b 8.642
_cell_length_c 8.642
_cell_angle_alpha 87.75
_cell_angle_beta 87.75
_cell_angle_gamma 87.75
_symmetry_space_group_name_H-M 'P 1'
_symmetry_Int_Tables_number 1
loop_
_symmetry_equiv_pos_as_xyz
'x,y,z'
loop_
_atom_site_label
_atom_site_type_symbol
_atom_site_fract_x
_atom_site_fract_y
_atom_site_fract_z
_atom_site_occupancy
Tb1 Tb 0.000 0.360 0.885 1
Tb2 Tb 0.000 0.640 0.115 1
Tb3 Tb 0.115 0.000 0.640 1
Tb4 Tb 0.242 0.753 0.364 1
Tb5 Tb 0.247 0.636 0.758 1
Tb6 Tb 0.360 0.885 0.000 1
Tb7 Tb 0.364 0.242 0.753 1
Tb8 Tb 0.636 0.758 0.247 1
Tb9 Tb 0.640 0.115 0.000 1
Tb10 Tb 0.753 0.364 0.242 1
Tb11 Tb 0.758 0.247 0.636 1
Tb12 Tb 0.885 0.000 0.360 1
Dy1 Dy 0.000 0.000 0.000 1
Dy2 Dy 0.110 0.353 0.431 1
Dy3 Dy 0.353 0.431 0.110 1
Dy4 Dy 0.431 0.110 0.353 1
Dy5 Dy 0.569 0.890 0.647 1
Dy6 Dy 0.647 0.569 0.890 1
Dy7 Dy 0.890 0.647 0.569 1
Tl1 Tl 0.500 0.500 0.500 1
```

***

# 2
The following is a theoretical powder diffraction line list of TbDy5Tl3. It was derived from DFT lattice parameters and positions (PBE), using Cu Kα (weighted mean of Kα1 and Kα2).
Kinematic intensities with the Lorentz-polarization factor, no thermal factor.

Peak list (12 most intense, 10° ≤ 2θ ≤ 90°, by angle)
d (Å), Position (°2θ), I (rel.)
3.362, 26.51, 9
2.732, 32.77, 88
2.707, 33.09, 100
2.109, 42.89, 15
1.923, 47.26, 32
1.681, 54.59, 8
1.568, 58.91, 33
1.563, 59.11, 19
1.428, 65.34, 29
1.354, 69.44, 12
1.213, 78.93, 14
1.145, 84.67, 14

Cell and atoms:
```
data_TbDy5Tl3
_chemical_formula_sum 'Tb2 Dy10 Tl6'
_cell_length_a 9.378
_cell_length_b 9.378
_cell_length_c 6.725
_cell_angle_alpha 90.00
_cell_angle_beta 90.00
_cell_angle_gamma 120.00
_symmetry_space_group_name_H-M 'P 1'
_symmetry_Int_Tables_number 1
loop_
_symmetry_equiv_pos_as_xyz
'x,y,z'
loop_
_atom_site_label
_atom_site_type_symbol
_atom_site_fract_x
_atom_site_fract_y
_atom_site_fract_z
_atom_site_occupancy
Tb1 Tb 0.000 0.000 0.000 1
Tb2 Tb 0.000 0.000 0.500 1
Dy1 Dy 0.000 0.333 0.250 1
Dy2 Dy 0.000 0.667 0.750 1
Dy3 Dy 0.333 0.000 0.250 1
Dy4 Dy 0.333 0.333 0.750 1
Dy5 Dy 0.333 0.667 0.000 1
Dy6 Dy 0.333 0.667 0.500 1
Dy7 Dy 0.667 0.000 0.750 1
Dy8 Dy 0.667 0.333 0.000 1
Dy9 Dy 0.667 0.333 0.500 1
Dy10 Dy 0.667 0.667 0.250 1
Tl1 Tl 0.000 0.334 0.750 1
Tl2 Tl 0.000 0.666 0.250 1
Tl3 Tl 0.334 0.000 0.750 1
Tl4 Tl 0.334 0.334 0.250 1
********
Avatar m tn t go through your liver but a pill would. Everything you put in your mouth goes to your stomach, then into your small intestines, into the blood and straight to the liver before it is sent to the rest of the body. What kind of doctor is he? Mine told me I could take Ibuprofen. My blood tends to be too thick though, so I don't have the bleeding worry that most here have. If you do have a bleeding issue, go with the Tylenol. There is no reason for you to have to stay in pain all the time.
Avatar m tn whenever i take even one 550mg (naproxen) ibuprofen and then drink, my stomach gets tender and bloated and i feel bad. i usually take a maalox or something like that, yet i never throw up from it so i don't know if that's applicable for you. i think it is due to the ibuprofen, but if you're not used to eating spicy foods then it could have disagreed with you, not necessarily meaning food poisoning. you should never drink and take NSAIDs at the same time.
Avatar f tn Yes, they could have affected your liver, as well as the protective lining of your stomach and intestinal tract. There are natural ways of cleansing and healing both of these potential problems. I'd look into seeing a doctor who practices integrated medicine or a naturopath if you don't know how to use natural medicine.
7758733 tn?1402589420 Ib IS that bad. It affects your babys undeveloped liver and thins your blood. Drink more water!
3122657 tn?1357432602 Ibuprofen is bad for our livers. Try getting a massage if you can. Bromelian, a natural supplement made from pineapples helps reduce swelling but it takes time to work. Also, make sure you're drinking lots of water, and getting some exercise. Try some yoga too. Pot brownies worked the best for my back pain.
Avatar n tn Is tramadol just as bad as other opiates? Is it a opiate like the rest or is it an anelgesic? My doctor gave me a prescription but I have not taken them yet.
2105146 tn?1334593783 t mean the acetominophen is inherently toxic to the liver. In fact it is less dangerous to the liver then NSAIDs. For people with advanced liver disease the only analgesic that should be used is acetominophen. "people with advanced liver disease are advised to totally avoid all NSAIDs." As stated in the article above, NSAIDs can worsen complications of advance liver disease which can cause life-threatening events. ANY drug taken in excess can be dangerous.
689265 tn?1251130087 just had my 2 year old at the drs for a check following a fever and told him I'd used calprofen ( children's ibuprofen ) initially when trying to bring his temperature down. He hit the roof!!! He said ibuprofen is proven to cause kidney damage and should NOT be made for children at all, he's on quite a mission to ban it. Just thought i'd let you guys know. fortunately, i'd only given my lad 2.
543518 tn?1245322027 Thanks everyone for the comments. I really hadn't researched how each is metabolized by the liver and/or kidneys. I can't take the triptanes because I have terrible reactions to them. I have tried blood pressure meds, anti-seizure meds, herbal remedies, acupuncture, massage, ice packs, just about everything. Thanks again.
Avatar f tn The problem with ibuprofen or tylenol is that you can cause liver damage that doesn't manifest immediately. An amount like 10,000 is too much for the liver to absorb at one time, and there can be considerable damage that you don't realize at this time. I think you should go to a physician, relate what you have told us, and get appropriate testing. Also,maybe some therapy.....that's helpful usuallly to everyone. Keep me posted. Good luck and God bless.
Avatar n tn i have been taking ibuprofen for about 2yrs i want to stop how long will it take for my body to be clear of them
Avatar f tn Okay, I KNOW that I remember being told by the liver doctor who performed my biopsy that if I do need to take a pain reliever that I should take Tylenol. My OB/GYN doctor just told me to take Advil for cramps because it isn't metabolized in the liver. I rarely take anything, but if I do, which is less risky? Liver biopsy one year ago found no significant tissue scarring. My recent ALT enzyme levels are slightly lower than before, 61. My other enzyme levels are normal.
Avatar n tn You should really talk to your doctor as everyone is different. OTC ibuprofen generally says you can take 200 mg. every 6 to 8 hours. Your doctor may say it's okay to take more. At one time, I got a prescription for ibuprofen (which cost me less than buying it OTC.) My prescription was for 800 mg.ever 4 hours. But you have to make sure to protect your stomach.
1148241 tn?1294052796 Anything you ingest by mouth is eventually going to go through your liver. From what I've read, ibuprofen isn't as hard on the liver as tylenol (acetomenaphen or paracetamol), but still be careful to take no more than what the label says, and tell your doctor you're taking it. If it works, your doctor may direct you to take more than what's on the label, but again, follow instructions, dosage and timing carefully. Stay away from the "extra strength" formulas.
1323278 tn?1298122488 All i take, due to my paranoia about drugs in general (thanks, adverse reactions of the past!) is Panadol, which is paracetamol, similar I think to your Tylenol? But I have to take it daily lately too. I was just today at my dr and asked if I might be getting rebound headaches from taking too much, but due to other things going on and my age and gender, he was more inclined to think it was menopause-related. GUess that's off your list though!
Avatar m tn I myself have liver problems and the answer to your question would be the Darvocet. While Ibuprofen is hard on the stomach itself and does have a negative effect on the liver, the tylenol in the darvocet will have a greater negative effect because of it's compound. Neither is good for the liver but if you were to choose the safer of the two, it's the Ibuprofen. I have done my share of research on the effects of medications on the liver. I have to be so careful of what I take.
Avatar f tn Being u are only 15 id tell someone. Ur liver could b damanged for tht much. I understand it is a very scary thing but u need to get help and fast. Please dont treat this lightly as u could get seriously hurt. Please update us on whats going on.
Avatar f tn They tell me not to take tylenol or ibuprofen cause its bad for your liver. Please help me by telling me if you know any pain killers that I can talk to my doctor about taking that doesn't have tylenol or ibuprofen in it that will help aleviate my pain?
2059782 tn?1342033162 you CAN alternate between tylenol and ibuprofen for a bad fever. staggar the doses according to how long they last. for example, if the medicines last 4 hours each, take tylenol at 4pm, ibuprofen at 6pm, then tylenol again at 8. you MUST watch the dosages on the label and how often to take them, I CANNOT STRESS THIS ENOUGH!. ALSO, you cannot take more than 3000mg of tylenol (also called acetaminophen) in one 24hr period. it's toxic to your liver.
Avatar f tn Although I do agree with what Livelife says, it is better coming from your doc as he/she knows your medical history. Your doctor knows how to weigh the risks and benefits of the drugs he prescribes for you.
318582 tn?1248118551 is hydrocodine bad for liver........
789911 tn?1368636783 Of course it depends what kind of condition your liver is in. If it is functioning normally you can take iron. If you have iron overload because you liver isnt working well, then of course you cant take it. I have minimal liver damage and also had low Iron. and also needed the procrit. Anyone chime in please.